Related Topics of IEP
By the time it has been decided that a student requires an IEP, some or all of the following steps should have taken place
Systematic assessment and evaluation by the classroom teacher.
Consultation between the classroom teacher(s), the parents, and school-based colleagues.
Introduction of alternate strategies and evaluation of their effect.
Referral to the special education team for specialized assessments and consultation.
Once the student has been identified as having “special needs” a team should be formed to plan for the student's educational needs.
Depending upon the educational needs of an individual student- the IEP team should have:
The parents
The student- if he/she is old enough to understand
The special educator and coordinator in charge
The mainstream class teacher- subject teacher
School administrator
Therapists and counsellors
The IEP process is new to many people, and as such, it is a process that needs to be explained to parents. Parents should be encouraged to be actively involved in the process regarding educational services for their children. They provide a unique perspective about the student's personality, development and learning. Open communication and cooperation between home and school increases the opportunities for students with special needs to experience success.
The IEP guides the implementation of adaptations or modifications to a student's instructional program. It must be written in such a way that it can be understood by all current and future team members.
Remember that the IEP in most cases is not the student's entire school program. The IEP outlines key areas that require adaptation or modification to the school program.
In most cases 3-4 goals in an IEP is enough work for the student and the IEP team to realistically accomplish before the IEP review dates.
The IEP is a working document and must be linked to ongoing instructional planning to be effective. The student with special needs should be seen first as a student in the class, and should not be defined exclusively by those special needs. The implementation of the IEP is putting into practice the plans, strategies and supports agreed upon by the team members. Documenting the progress is the most important step.
== Materials data, kept here for reference ==
____________
Entry 1:
Below is a relaxed structure of Al5ZnTc, with properties calculated at the PBE level.

Calculated values
- space group = Imm2 (44)
- total energy (eV per atom) = -3.812

Cell lengths 6.388, 6.388, 6.388 Å; angles 112.55, 83.29, 137.17 degrees
Fractional positions:
Al (0.000, 0.000, 0.000)
Al (0.069, 0.320, 0.750)
Al (0.294, 0.622, 0.328)
Al (0.294, 0.965, 0.672)
Al (0.570, 0.320, 0.250)
Zn (0.513, 0.513, 0.000)
Tc (0.796, 0.296, 0.500)

Entry 2:
Below is a relaxed structure of TiAl3Pt, with properties calculated at the PBE level.

Calculated values
- space group = Pm-3m (221)
- total energy (eV per atom) = -4.919

Cell lengths 4.711, 4.711, 4.711 Å; angles 90.00, 90.00, 90.00 degrees
Fractional positions:
Ti (0.000, 0.000, 0.000)
Al (0.000, 0.500, 0.500)
Al (0.500, 0.000, 0.500)
Al (0.500, 0.500, 0.000)
Pt (0.500, 0.500, 0.500)

Entry 3:
Below is a relaxed structure of Tl2HgPd, with properties calculated at the PBE level.

Calculated values
- space group = P4/mmm (123)
- total energy (eV per atom) = -2.495

Cell lengths 5.157, 5.157, 3.559 Å; angles 90.00, 90.00, 90.00 degrees
Fractional positions:
Tl (0.000, 0.500, 0.000)
Tl (0.500, 0.000, 0.000)
Hg (0.000, 0.000, 0.500)
Pd (0.500, 0.500, 0.500)

Entry 4:
Below is a relaxed structure of YPdF5, with properties calculated at the PBE level.

Calculated values
- space group = P-1 (2)
- formation energy (no corrections) (eV per atom) = -2.800

Cell lengths 4.380, 5.319, 5.834 Å; angles 91.91, 99.77, 109.39 degrees
Fractional positions:
Y (0.000, 0.000, 0.000)
Pd (0.000, 0.500, 0.500)
F (0.106, 0.355, 0.804)
F (0.172, 0.253, 0.336)
F (0.500, 0.000, 0.000)
F (0.828, 0.747, 0.664)
F (0.894, 0.645, 0.196)

Entry 5:
Below is a relaxed structure of Pu3Th4Se8, with properties calculated at the PBE level.

Calculated values
- space group = C2/m (12)
- formation energy (no corrections) (eV per atom) = -1.574

Cell lengths 8.312, 8.312, 8.324 Å; angles 119.88, 119.88, 90.11 degrees
Fractional positions:
Pu (0.000, 0.000, 0.000)
Pu (0.000, 0.500, 0.000)
Pu (0.500, 0.000, 0.000)
Th (0.000, 0.500, 0.500)
Th (0.500, 0.000, 0.500)
Th (0.500, 0.500, 0.000)
Th (0.500, 0.500, 0.500)
Se (0.239, 0.239, 0.496)
Se (0.243, 0.243, 0.990)
Se (0.243, 0.757, 0.500)
Se (0.247, 0.753, 0.000)
Se (0.753, 0.247, 0.000)
Se (0.757, 0.243, 0.500)
Se (0.757, 0.757, 0.010)
Se (0.761, 0.761, 0.504)

Entry 6:
Below is a relaxed structure of SnPbAu3, with properties calculated at the PBE level.

Calculated values
- space group = P2_1/c (14)
- total energy (eV per atom) = -3.594

Cell lengths 9.677, 5.928, 8.111 Å; angles 90.00, 96.86, 90.00 degrees
Fractional positions:
Sn (0.078, 0.222, 0.373)
Sn (0.078, 0.278, 0.873)
Sn (0.922, 0.722, 0.127)
Sn (0.922, 0.778, 0.627)
Pb (0.401, 0.607, 0.811)
Pb (0.401, 0.893, 0.311)
Pb (0.599, 0.107, 0.689)
Pb (0.599, 0.393, 0.189)
Au (0.123, 0.698, 0.411)
Au (0.123, 0.802, 0.911)
Au (0.253, 0.018, 0.646)
Au (0.253, 0.482, 0.146)
Au (0.373, 0.127, 0.975)
Au (0.373, 0.373, 0.475)
____________
At the IEP review meeting, the team comes together to discuss the progress the student has made towards the IEP goals and to celebrate the student accomplishments. Making the IEP review consistent with a regular reporting period may be the most time efficient manner. In some cases, students will require an IEP review more often. Reviewing the IEP every 8-10 weeks can support student motivation and offers the IEP team more opportunity to monitor the student's goals and provide a special time to celebrate success.
Reports for students with special needs should describe progress with respect to all components of the program, including those areas that have been adapted and/or modified. When a student is expected to achieve or surpass the regular curriculum learning outcomes, the same grading and reporting should be followed as with other students. When the student requires substantial course or program modification, the use of letter grades or percentages to report student progress is not appropriate. Letter grades that reflect the goals in the IEP are appropriate, if it is clear that the program is modified. Structured written comments are very helpful to report the level of student success in achieving the individual goals and objectives set out for him or her.